North Berwick To Coldingham
Lothian and Lammermuir
By Road
Exit North Berwick along the A198, where you will pass Tantallon Castle and drive through Auldhame and pass Whitekirk. At Tyninghame, however, take the right turn, marked East Linton and Preston Mill, to dive to East Linton. Then take the main road south (left turning) to join the A199 (pencraig Brae), before tuning right and passing under the A1. After the underpass, turn right and follow the road. Traprain Law will be on the right. Continue on the road, at Luggate, turn right, then left. Eventually turn left onto the B6370, upon which you will reach Stenton. Afterwards, the B6370 will take you to Pitcox, where at the crossroads, turn right, and follow this road until the next right, turning and following this road, then turning left, and entering Spott via its high road. Leave Spott via the main road, Canongate, and follow north. You will reach a major A1 junction, continue north via Spott Road into Dunbar. Upon leaving Dunbar, take the A1087 southeast, joining the A1 (left turn).
To reach Cockburnspath, at the junction, take the third exit (right most). Return along this road, then take the opposite exit off the A1 junction, then turn right. Cove is accessible from a sideroad to the left. Following the main road will lead to Pease Bay. Passing beyond Pease Bay, join the A1107 by turning left, which will lead to Coldingham.
By Public Transport
• Between two parts of the page: records of crystals:
┌──
1.
Below is Sm7Ga2Rh2 after structural relaxation, with properties calculated at the PBE-GGA level.

Unit cell a=6.811 b=6.811 c=7.096 alpha=90.00 beta=90.00 gamma=109.01
Fractional coordinates of all 11 atoms:
Sm  0.000  0.000  0.000
Sm  0.000  0.500  0.262
Sm  0.000  0.500  0.738
Sm  0.500  0.000  0.262
Sm  0.500  0.000  0.738
Sm  0.500  0.500  0.257
Sm  0.500  0.500  0.743
Ga  0.164  0.164  0.500
Ga  0.836  0.836  0.500
Rh  0.295  0.705  0.000
Rh  0.705  0.295  0.000

## Properties
The calculation puts the calculated volume at 311 Å³ per cell. As for the magnetic moment: 0.000 μB/f.u. For the total energy, the calculation gives -5.286 eV/atom.

---

2.
Below is Pm2HoEr8 after structural relaxation, with properties calculated at the PBE-GGA level.

Unit cell a=9.327 b=9.327 c=7.912 alpha=105.05 beta=105.05 gamma=31.13
Fractional coordinates of all 11 atoms:
Pm  0.227  0.227  0.137
Pm  0.773  0.773  0.863
Ho  0.500  0.500  0.500
Er  0.045  0.045  0.228
Er  0.135  0.135  0.679
Er  0.319  0.319  0.592
Er  0.410  0.410  0.046
Er  0.590  0.590  0.954
Er  0.681  0.681  0.408
Er  0.865  0.865  0.321
Er  0.955  0.955  0.772

## Properties
The calculation puts the calculated volume at 343 Å³ per cell. Its energy above the lowest structure with this stoichiometry is 0.00 eV/f.u. As for the magnetic moment: 0.000 μB/f.u.

---

3.
Below is CaBS2N after structural relaxation, with properties calculated at the PBE-GGA level.

Unit cell a=5.351 b=5.351 c=4.626 alpha=90.00 beta=90.00 gamma=90.00
Fractional coordinates of all 5 atoms:
Ca  0.000  0.000  0.000
B  0.500  0.500  0.500
S  0.000  0.500  0.000
S  0.500  0.000  0.000
N  0.000  0.000  0.500

## Properties
The formation energy from raw total energies is 1.6382 eV per atom. The calculation puts the calculated volume at 132 Å³ per cell. Its energy above the lowest structure with this stoichiometry is 9.81 eV/f.u. As for the magnetic moment: 4.013 μB/f.u.


# 1
HfThCd: optimized geometry, PBE.

Output
ΔE to the lowest computed polymorph: 275 meV per atom
Energy relative to the elements: 0.298 eV per atom

Cell lengths 3.250, 5.612, 8.828 Å; angles 90.00, 90.00, 90.00 degrees
Space group Pmmn (No. 59, origin choice 2)
Symmetry-distinct sites (fractional):
Hf  0.250  0.250  0.244
Th  0.250  0.750  0.430
Cd  0.250  0.750  0.058

=====

# 2
CaNpPd14: optimized geometry, PBE.

Output
Energy relative to the elements: -0.250 eV per atom

Cell lengths 5.786, 5.786, 7.849 Å; angles 90.00, 90.00, 90.00 degrees
Space group P4/mmm (No. 123)
Symmetry-distinct sites (fractional):
Ca  0.000  0.000  0.000
Np  0.500  0.500  0.000
Pd  0.000  0.000  0.500
Pd  0.000  0.500  0.000
Pd  0.000  0.500  0.500
Pd  0.254  0.254  0.256
Pd  0.500  0.500  0.500

=====

# 3
La2Sb: optimized geometry, PBE.

Output
Formation energy from raw total energies: -0.595 eV per atom

Cell lengths 7.733, 7.733, 7.733 Å; angles 90.00, 90.00, 90.00 degrees
Space group Pa-3 (No. 205)
Symmetry-distinct sites (fractional):
La  0.140  0.140  0.140
└──
From Lochbridge Road in North Berwick, you can take the 69 to East Linton. There is no easy way to reach Traplain Law from East Linton, but you can walk – head southeast on Browns Pl/High
St/B1377 toward Preston Rd/B1407, then left onto Bridge St/B1377, and left again onto Bridge End/B1407, before two rights onto Lauder Place and Pencraig Brae/A199. After 500feet, turnright, then right again and walk for a mile, before turning right at the road for Traplain Law. It’s about an hour.
To go to Spott, you should return to East Linton, then take the X6 or 253 to Dunbar, from there taking the 130 south to Spott. Return to Dunbar by the 130, then take 253 to Cockburnspath and then Coldingham.
To check times go to Traveline Scotland and click on Plan your Journey on left side of page.
Journey Links
By land and sea, North Berwick is the doorway to the heartland of Baldred, Scotland’s Anglo-saxon saint. Baldred founded churches at Auldhame, Whitekirk, and Prestonkirk, along with a monastery at Tyningham, and a cave retreat at Seacliff beach beyond Auldhame, in addition to the Bass Rock chapel. The rock formation off the point at Tyningham is still called St Baldred’s Cradle. St Baldred’s Boat is another coastal feaure by Tantallon Castle. Only some of this achievement is still visible. The medieval church in the grounds of Tyningham house may be the site of Baldred’s monastery, while Prestonkirk, probably the saint’s burial place, is built on a very ancient mound with Baldred’s well still flowing by the riverside below.
Archaeology has revealed the extent of the Auldhame settlement, but there is little to see above ground. Whitekirk, on the road south from Auldhame, later developed as an important Marian shrine. Sadly the healing well was covered over but the medieval church and a tithe barn, which marks the site of the pilgrim hostels, remain. Suffragettes set fire to the church in 1914 because of connections between the Conservative leader A.J. Balfour and local landed families.
From East Linton we proceed to Traprain Law where a sizable early Celtic town was located. This is the birthplace of Thenew, Mungo’s mother, and the scene of her trials at the hand of her father Loth, King of the British Celtic Gododdin. At Standingstane Farm, Loth’s stone looks defiantly towards the cliff over which, on learning she was pregnant, he had Thenew thrown in a ritual chariot. But she survived unharmed. We go back towards Stenton, paying our respects at the Rood Well on the far side of the village and then approach Dunbar through Spott which has a medieval church, once a first pilgrim station on the long trek westwards to Iona.
Dunbar was the headqurates of Bea or Bega, an Irish Christian who worked with Hilda of Whitby. Her church was on the site of the present impressive parish kirk, but in general Dunbar has the character of a scenic harbour town, in which the older remains of castle and church have succumbed to sea and wind. John Muir, the world famous environmentalist and founder of the national park movement, was born here in a main street house which is now an interpretative centre. Continuing along the coast we reach the village of Cockburnspath with its linked harbour at Cove. Beyond Cove a left turn off the main road goes to Pease Bay where St Helen’s church is sited above the sands.
This is the last potential stop before reaching Coldingham and St Abbs.
Hardy and determined women were the pioneers
From Tennoch or Thenew, who survives rape,
ritual execution and abandonment.
Next come Hilda, Ebbe, Bea and Helen,
founding monasteries and churches,
commanding men and women alike.
This heritage inspires devotion
through sacred wells, and pilgrimage,
and the image of Mary, mother of God.
Does the future also lie
in the minds and hearts of women?